November Rain
by Peter Tupper
The water closed over June's face as the preacher lowered her into the river. The current flowed around her body, making her white robe swirl, and the chill reached inside her, making her more awake than she ever had been.
For a moment, there was only silence and the light from the summer sky, filtered through the clear river water. Strong hands pulled her up and out, into the air. The preacher's hand released her mouth and nose, and she took a deep breath of sweet air.
"You have died and risen again with Christ, my child," said the preacher standing next to her in the river. "Your sins washed away."
"Yes, praise Jesus," she murmured. She stepped up onto the riverbank where her Mommy and her sisters waited for her with open arms. "We love you, sweetie, and Jesus loves you too." Even Daddy was smiling a little. June cried, happier than she had ever been.
The water poured into through the car's open windows, and June scrambled for the child-seat in the back. "Katie, oh God,... Baby, where are you?" The water was up to her neck. "Jesus, help me, baby, can you reach me--?" She reached out, felt a tiny hand in the cold water. "Katie--!"
The English woman poured pale green tea from the teapot into one of the two ceramic cups.
"I didn't kill my daughter," June blurted out.
The other woman paused for only a moment. "Yes?"
"I just want to say that. I don't care what the news or the prosecutors or my family or my husband or anybody says. I didn't. Everybody says I wasn't convicted because the police made mistakes. That's not it. I swear to Almighty God, I did not kill my Katie. I would never do that. I loved her. I gave everything to her. I'd never kill my baby, I'd never kill anybody's baby, I'd never kill anyone. Killing's a sin," June said. She pulled the sleeves of her sweater over the white bandages around her wrists, then buried her face in her hands and sobbed.
The English woman passed her a box of tissues. June dabbed at her eyes and blew her nose. "You believe me, right?"
"June, that is not my concern. My only concern is you." She reached into a legal envelope and pulled out a sheaf of paper and a fountain pen. "In exchange for five years of service, my organization will provide you with a new paper identity, a new name, a new face, even fingerprints."
"And no memory. You can do that right?"
"Yes, we can. You will remember being an only child. You will remember your parents dying peacefully of old age. You will not remember ever having had a child. You will have your entire life ahead of you. And you'll have a substantial amount of money."
"I don't care about the money."
"You may do with it as you wish."
June pulled the contract toward her and looked at it. "I'm going to be whoring, right? My body will be whoring."
"Some of the engagements will be sexual in nature, yes."
"I can't go on like this." June picked up the fountain pen and signed. "Forgive me, Lord."
The English woman picked up the contract and replaced it in the envelope. "Please come with me."
June got up and followed her out of the interview room, down a corridor and into another room full of computers. A blond-haired man beckoned her towards a chair.
She stood in front of the chair and turned around, but then something in her changed. "I.... I need help."
"Uh....", the man said.
Inserted here: materials data:
┌──
# 1
Compound: Dy4YCo4
Source: the Alexandria database
Functional: PBE
Structure: relaxed

For the total energy, the calculation gives -107.6 eV/cell. Its size of the total moment is 0.00 μB per formula unit.

The space group is P4_2/n (No. 86, origin choice 2) and the conventional cell measures 8.4143, 8.4143 and 5.5664 Å, with angles of 90.00, 90.00 and 90.00 degrees. The asymmetric unit holds Dy at (0.0620, 0.6735, 0.1320), Y at (0.2500, 0.2500, 0.2500) and Co at (0.0146, 0.6112, 0.6149).

=====

# 2
Compound: Dy3YCo
Source: the Alexandria database
Functional: PBE
Structure: relaxed

The energy above the lowest structure with this stoichiometry comes out at 104 meV/atom. Its size of the total moment is 0.01 μB per formula unit.

The space group is Pm-3m (No. 221) and the conventional cell measures 5.2732, 5.2732 and 5.2732 Å, with angles of 90.00, 90.00 and 90.00 degrees. The asymmetric unit holds Dy at (0.0000, 0.0000, 0.5000), Y at (0.5000, 0.5000, 0.5000) and Co at (0.0000, 0.0000, 0.0000).


[1]
Compound: Li2Sn2Pd
Source: Alexandria
Functional: PBE
Structure: relaxed

The value obtained for the formation enthalpy at 0 K is -2.22 eV/f.u. Its symmetry is C2/m.

Geometry as extended XYZ:
```
10
Lattice="4.465 0.000 0.000 2.232 4.998 -0.368 2.232 0.129 8.738" Properties=species:S:1:pos:R:3 pbc="T T T"
Li 2.232 0.741 1.181
Li 4.465 2.011 6.060
Li 6.697 4.386 7.189
Li 4.465 3.116 2.310
Sn 6.697 1.628 8.422
Sn 2.232 1.098 3.872
Sn 2.232 3.498 -0.052
Sn 6.697 4.029 4.497
Pd 4.465 0.266 2.409
Pd 4.465 4.860 5.960
```

***

[2]
Compound: Ca6MgHg5
Source: Alexandria
Functional: PBE
Structure: relaxed

The value obtained for the formation enthalpy at 0 K is -5.69 eV/f.u. Its symmetry is Immm.

Geometry as extended XYZ:
```
12
Lattice="5.171 0.022 -1.509 -1.043 6.676 -3.477 -0.084 0.522 9.333" Properties=species:S:1:pos:R:3 pbc="T T T"
Ca 3.633 4.195 2.897
Ca 4.144 0.924 4.601
Ca 1.815 4.942 -3.322
Ca 2.313 1.756 -1.663
Ca -0.100 6.296 -0.253
Ca 0.411 3.025 1.450
Mg 0.000 0.000 0.000
Hg 3.203 1.218 1.379
Hg 1.317 2.576 4.552
Hg -0.521 3.338 -1.738
Hg 2.726 4.644 -0.204
Hg 0.841 6.002 2.969
```

***

[3]
Compound: AcZn2Au2
Source: Alexandria
Functional: PBE
Structure: relaxed

The value obtained for the formation enthalpy at 0 K is -2.84 eV/f.u. Its symmetry is Fmmm.

Geometry as extended XYZ:
```
5
Lattice="-1.366 1.060 3.998 -2.674 -3.438 0.038 6.321 -2.131 0.333" Properties=species:S:1:pos:R:3 pbc="T T T"
Ac 0.000 0.000 0.000
Zn 1.468 -1.130 3.174
Zn 0.814 -3.379 1.194
Au -0.982 -1.990 2.585
Au 3.263 -2.519 1.783
```

***

[4]
Compound: V2GeP
Source: Alexandria
Functional: PBE
Structure: relaxed

The value obtained for the formation enthalpy at 0 K is -0.06 eV/f.u. Its symmetry is I-42d.

Geometry as extended XYZ:
```
8
Lattice="-0.559 -1.886 6.392 5.521 -3.723 -0.616 3.963 -0.730 3.629" Properties=species:S:1:pos:R:3 pbc="T T T"
P 2.481 -2.805 2.888
P 5.983 -3.629 2.951
Ge 0.000 0.000 0.000
Ge 2.943 -2.710 6.454
V 1.355 -1.747 4.554
└──
The English woman put her hands on June's shoulders and lowered her down into the chair. It pressed against her spine and neck. Something whirred and the chair lowered her until she was lying down, with part of the chair wrapped around her head.
June looked up at the other woman bending over her. There was no compassion in her eyes, but no judgment either. "Let's begin," she said.
"Die and rise again with Christ," June whispered, and then brilliant blue light filled her mind.
"Hello, November. How are you feeling?" the blond man said.
"Did I fall asleep?"
"For a little while."
"Shall I go now?"
"If you like."
She stood up.
A woman in the room said, "November, I want you to meet some new people. You're going to live with them. They're going to be your friends."
November smiled. "That would be nice."
Note: written before November's backstory or original name had been revealed